Page 42 of Dax
My processors reminded me that I owed my female and daughters lives to the cyborg in front of me. When Reaper and Viper had gone to bring him back, they had purposely left without me behind. I think they knew what my stubborn circuits hadn’t wanted to admit. If they would have brought me along, I would defended Dax against them. I would have fought to protect him and not only because I needed him to check on Ever and Marley. I guessed my processors were past the point of wanting Dax to be my friend, they already thought he was.
Oh, how the mighty have fallen. I have a friend,the old version of my processors lamented.Shut up, the new version chided.You know you like it. It’s nice not being alone anymore.I huffed.
I relaxed the tension in my frame, allowing myself to see Dax as someone I wanted in my life instead of another annoying cyborg who caused me to grind my gears. “I would have had your back if I had gone with Reaper and Viper. I would have fought for you.” Those words carried a heavy weight. I had a reputation for being a vicious fighter. You had to be with a face like mine. Others thought they could hurt or humiliate you simply because of the way you looked so I had taught them a lesson with my fists. I had fought to protect myself, to busy defending myself to care about any others. But I would have fought for Dax. I would have fought for him as hard as I would have if I had been fighting for my female and daughter.
Dax was one of the good guys.
And to my shame, most of the cyborgs, including myself, had never bothered to see it.
Dax’s mouth went slack as his arms fell to his sides. “Youwould havefoughtfor me?” His brow furrowed. “Why?”
“Because you are mybrother.” I held out my arm, “and you are myfriend.”
Dax quickly clasped my arm. His arm trembled slightly against the exposed metal of mine. “Brother.” The trembling stopped and he gripped my arm with a sure and steady grip. “Friend,” he confirmed as held on tight, giving my arm a strong shake before letting go.
The look of pure joy on Dax’s face almost knocked me on my ass. It didn’t take much to make the Science Model happy. He had always wanted the things I had once shunned-friends, home, a place to belong. Joy burst along my own circuits. The upgraded side of my programming lighting up with the notion I had helped to make Dax happy. The other side of my programming surprisingly wasn’t thinking about punching the smile off his face.Hmm...interesting. This could work.
“I will see you in my quarters soon, Science Model. Don’t keep me or Ever and Marley waiting-they have missed you.”
“I haven’t been away that long. Even my attempted escape only lasted a day.”
“It was long enough. Others might not say it and I didn’t think the job would go to me, but I’ll say it because it needs saying.” My gold eyes met his, “Weneedyou, Dax. Don’t go away again or I’ll track you down myself-that’s athreatand apromise.”
The foolish cyborg only grinned wider. “Understood, Acer.”
“And as your friend, let me give you some advice-take a shower before you head over. I might not dislike you anymore, but Science Model, you stink.” I turned to walk away but twisted back around. “And that goes for your female, too. You don’t want all of the cyborg rebellion to smell her private business. Human females are rather particular about that kind of thing.”
Inserted here: calculated molecules >
=====
Version i
{
  "formula": "C5H12NO",
  "method": "wB97M-V/def2-TZVPD",
  "elements": ["C", "C", "C", "C", "N", "C", "O", "H", "H", "H", "H", "H", "H", "H", "H", "H", "H", "H", "H"],
  "positions_angstrom": [[-0.48, 0.01, 0.34], [0.92, 0.45, -0.08], [1.49, 1.38, 0.98], [1.80, -0.75, -0.44], [-1.19, -0.62, -0.75], [-2.66, -0.81, -0.47], [-3.38, -1.15, -1.52], [-1.08, 0.81, 0.79], [-0.37, -0.75, 1.12], [0.74, 1.13, -0.93], [2.40, 1.90, 0.67], [0.76, 2.16, 1.20], [1.70, 0.88, 1.94], [2.33, -0.56, -1.37], [1.16, -1.62, -0.58], [2.52, -0.93, 0.35], [-1.02, -0.10, -1.61], [-2.98, 0.16, 0.01], [-2.66, -1.56, 0.36]],
  "homo_lumo_gap_ev": 5.809,
  "lumo_ev": 3.61,
  "charge": -1
}

Version ii
{
  "formula": "C5H12NO",
  "method": "wB97M-V/def2-TZVPD",
  "elements": ["C", "O", "C", "C", "C", "C", "N", "H", "H", "H", "H", "H", "H", "H", "H", "H", "H", "H", "H"],
  "positions_angstrom": [[-1.77, -0.12, -2.02], [-1.84, 0.05, -3.34], [-0.27, -0.36, -1.45], [-0.27, -0.59, 0.05], [1.06, -0.23, 0.65], [1.49, 0.24, 4.06], [1.45, 1.02, 0.92], [-2.06, 0.82, -1.50], [-2.36, -1.02, -1.66], [0.23, 0.61, -1.61], [0.20, -1.15, -2.03], [-1.01, 0.01, 0.60], [-0.53, -1.65, 0.27], [1.86, -0.97, 0.51], [0.68, 0.62, 1.65], [1.59, -0.69, 3.52], [2.29, 0.21, 4.81], [1.65, 1.09, 3.39], [0.53, 0.38, 4.56]],
  "homo_lumo_gap_ev": 5.740,
  "lumo_ev": 3.26,
  "charge": -1
}

Stability, highest: version i

Version i
{
  "formula": "C5H12NO",
  "method": "wB97M-V/def2-TZVPD",
  "elements": ["C", "N", "C", "C", "C", "O", "C", "H", "H", "H", "H", "H", "H", "H", "H", "H", "H", "H", "H"],
  "positions_angstrom": [[1.27, 1.41, 1.26], [0.79, 0.84, 0.06], [-0.45, 0.09, 0.22], [-0.65, -1.16, -0.78], [0.68, -1.78, -1.14], [1.51, -0.90, -1.84], [-1.67, 0.93, 0.22], [1.66, 0.59, 1.94], [1.96, 2.28, 1.09], [0.46, 1.88, 1.90], [1.28, 0.44, -0.86], [-0.24, -0.55, 1.10], [-1.23, -0.81, -1.63], [-1.19, -1.86, -0.12], [0.63, -2.68, -1.76], [1.24, -2.18, -0.22], [-1.79, 1.28, -0.79], [-2.66, 0.38, 0.44], [-1.59, 1.80, 0.91]],
  "homo_lumo_gap_ev": 6.651,
  "lumo_ev": 4.11,
  "charge": -1
}

Version ii
{
  "formula": "C5H12NO",
  "method": "wB97M-V/def2-TZVPD",
  "elements": ["C", "C", "C", "C", "C", "O", "N", "H", "H", "H", "H", "H", "H", "H", "H", "H", "H", "H", "H"],
  "positions_angstrom": [[0.20, 0.79, -2.38], [0.41, 0.88, -0.85], [-0.94, 0.76, -0.15], [-0.67, 0.44, 1.37], [-0.77, -1.16, 1.53], [0.30, -1.81, 1.15], [1.50, 0.05, -0.43], [0.29, 1.78, -2.82], [0.85, -0.01, -2.83], [-1.00, 0.68, -2.66], [0.66, 2.05, -0.73], [-1.56, 1.68, -0.31], [-1.52, 0.02, -0.59], [-1.34, 0.86, 2.18], [0.35, 0.72, 1.49], [-0.84, -1.13, 2.69], [-1.64, -1.61, 1.16], [1.24, -0.94, 0.26], [2.29, -0.24, -1.08]],
  "homo_lumo_gap_ev": 6.946,
  "lumo_ev": 4.23,
  "charge": -1
}

Stability, highest: version i

Version i
{
  "formula": "C5H12NO",
  "method": "wB97M-V/def2-TZVPD",
  "elements": ["C", "C", "C", "C", "C", "O", "N", "H", "H", "H", "H", "H", "H", "H", "H", "H", "H", "H", "H"],
=====
He nodded earnestly. “You are very correct, Acer, and it seems you didn’t need to be slapped to learn that lesson. It took me three times before I got it.”
I tossed my head back and laughed. Maybe being friends with the Science Model wouldn’t be so bad. At the very least it should be amusing.
**Attached: records of molecules:**
[1]
Computed, not measured: a structure of composition C5H23B2ClN3O2V, with ωB97M-V/def2-TZVPD.

Computed properties:
Charge ... -2
E_HOMO (alpha / beta) ... 2.99 / -2.44 eV
Multiplicity ... 5

Each line ends with the Mulliken spin population.
Atoms and positions in Å:
V (-0.4393, 0.7982, 0.2245)  3.3590
B (-1.9249, 1.9932, 1.6539)  0.2096
H (-0.9582, 1.5907, 1.9141)  0.0198
H (-2.6271, 1.9467, 2.4719)  -0.0023
H (-1.8583, 3.0007, 1.2734)  0.0101
H (-2.2986, 1.3094, 0.9075)  -0.0055
B (-0.5295, -1.0756, 1.4776)  0.2260
H (-0.4324, -2.1060, 1.7826)  0.0135
H (-1.4635, -0.9289, 0.9577)  0.0000
H (-0.5613, -0.4368, 2.3467)  0.0263
H (0.2741, -0.9077, 0.7774)  -0.0196
Cl (-0.1592, 2.9768, -1.4817)  -0.0728
C (-2.0728, -2.0435, -2.7611)  0.8544
C (-1.2315, -1.2048, -1.8428)  -1.7916
C (0.1685, -0.7509, -2.3287)  0.1864
O (0.8963, -0.2633, -1.2356)  -1.5510
C (2.2842, -0.0808, -1.5726)  1.6794
N (-1.9195, -0.0210, -1.3862)  0.2308
H (-2.2407, -1.6307, -3.7558)  -0.0719
H (-3.0154, -2.0568, -2.2139)  0.0545
H (-1.7336, -3.0786, -2.8004)  -0.1481
H (-1.0633, -1.8218, -0.9600)  0.0585
H (0.2082, 0.0741, -3.0399)  0.2290
H (0.6598, -1.6390, -2.7262)  -0.1816
H (2.3929, 0.8870, -2.0623)  0.0563
H (2.7439, -0.7786, -2.2725)  -0.1145
H (2.7977, 0.1604, -0.6418)  0.2128
H (-2.1765, 0.5739, -2.1609)  0.0056
H (-2.8697, -0.3248, -1.2288)  -0.0662
C (2.1141, 0.8893, 2.1992)  3.9627
O (1.3874, 1.3102, 1.2925)  -1.3677
N (1.8211, -0.1763, 2.8759)  -1.1188
N (3.1581, 1.5416, 2.6922)  -0.1488
H (0.9168, -0.5461, 2.6198)  0.1925
H (2.3845, -0.4304, 3.6747)  -0.2430
H (3.5524, 2.2767, 2.1228)  -0.3153
H (3.8155, 0.9732, 3.2068)  -0.3684

=====

[2]
Computed, not measured: a cluster of 6 separate species, C5H23N2O6 in total, with ωB97M-V/def2-TZVPD.

Computed properties:
Charge ... -1
Relative energy (zero: lowest compared OMol25 entry of this formula, charge and spin) ... 9.0 kJ/mol
E_HOMO ... -5.46 eV

Each line ends with the Löwdin charge.
Atoms and positions in Å:
C (0.1966, -1.8861, -1.2452)  -0.2274
N (0.6354, -0.6805, -1.9524)  -0.0708
C (2.0239, -0.3022, -1.6772)  -0.2016
C (2.3593, 0.1627, -0.2114)  -0.3176
O (1.2377, 0.5173, 0.5144)  -0.3591
C (-1.3082, -1.8214, -0.9883)  -0.2404
N (-1.6655, -0.8242, 0.0281)  -0.1062
C (-2.8054, -0.0115, -0.3938)  -0.1385
H (0.7431, -2.0364, -0.3077)  0.1014
H (0.4658, -2.7452, -1.8757)  0.1086
H (0.0820, 0.1052, -1.6401)  0.0510
H (2.2736, 0.4824, -2.3997)  0.0982
H (2.6795, -1.1405, -1.9571)  0.1011
H (2.8768, -0.6774, 0.2974)  0.0989
H (3.0609, 1.0117, -0.2898)  0.1036
H (-1.6402, -2.8015, -0.6301)  0.0990
H (-1.8139, -1.6651, -1.9472)  0.1071
H (-0.8360, -0.2573, 0.1846)  0.0596
H (-3.6628, -0.6558, -0.5746)  0.0683
H (-2.6033, 0.6184, -1.2675)  0.0530
H (-3.0870, 0.6577, 0.4262)  0.0724
H (-0.8914, 2.1791, -1.9856)  -0.0052
H (-1.0325, 1.0867, -3.0573)  0.0029
O (-1.4050, 1.9353, -2.8015)  -0.1136
H (0.5866, 1.6967, -0.0243)  -0.0068
H (-0.5832, 2.7350, 0.3003)  0.0453
O (-0.0274, 2.4365, -0.4392)  -0.1338
Chapter Twenty-Six
Ipractically skippeddown the hallway. Dax had come back into our quarters and informed me that we were taking a “non sexy shower” then going to meet a cyborg, his female, and theirbaby. He had me at baby cyborg. I had gotten ready as fast as possible, showering then quickly tossing clothes on, barely able to contain my excitement.
-- Attached: calculated molecules --
+++
The following is a DFT calculation (ωB97M-V with the def2-TZVPD basis set) of a molecular structure, C3H2ClNO3 at a distorted geometry.

The electronic energy is -23294.704 eV. As for the gap between HOMO and LUMO: 8.68 eV. Its LUMO energy is -0.31 eV. The value obtained for the energy above the lowest of the compared OMol25 structures with the same formula, charge and spin is 139.8 kJ/mol. The net charge is 0.

```
10
Properties=species:S:1:pos:R:3:mulliken_charge:R:1
Cl -1.50 -2.76 -1.01 -0.16
O 1.79 1.04 -0.41 -0.54
O -1.24 -0.57 0.30 -0.23
O -1.19 1.58 1.25 -0.56
N 0.68 -1.14 -0.73 -0.50
C -0.61 0.67 0.38 0.33
C 0.63 0.30 -0.20 0.31
C -0.47 -1.45 -0.35 0.53
H 2.21 0.61 -1.33 0.41
H -0.29 1.71 2.10 0.41
```
+++
-- The calculated molecules stop here --
A baby! A baby cyborg! Omg.Standing outside the family’s quarters I giddily clapped my hands together. “Sorry. I’m a bit excited. I’m trying to tone it down a bit.”
Dax’s eyebrows shot up. “You were just clapping with a look of glee on your face and you claim that was toning itdown?” His lips quirked in amusement.
“You cannot tell me baby cyborg and expect me not to lose a little bit of my mind. I bet she’s the cutest thing.” I let out a happy little sigh. “I can’t wait to meet her.”
The amusement slowly faded from his face. “Not everyone would think she was cute. Some would see Ever as simply a thing they could exploit.”